This page refers to the main requirements for individual plan, progress review and doctoral candidate, as well as links to guidelines and document forms.
First-year doctoral student
Doctoral students matriculated in the 2024/2025 academic year will compile and submit their individual plan and period plans in TEEK. For the 1st year doctoral student, TEEK became available on the 9th of September 2024.
NB! User of TEEK does not have to fill in the .docx forms and upload them to SIS! The planning and reporting take place based on electronic forms in TEEK.
Records of crystals that have nothing to do with the text
┌──
{"formula": "AgRhPb2O6", "functional": "PBE", "state": "optimized geometry", "vol_a3_per_cell": 142, "final_energy_ev_per_cell": -54.6, "formation_energy_uncorrected_ev_per_fu": -7.3, "m_tot_mub_per_atom": 0.000, "cell": [[-5.388, 1.374, 1.252], [-3.531, -3.946, 2.109], [-1.566, 0.391, 5.816]], "species": ["O", "O", "Ag", "O", "O", "Pb", "Pb", "Rh", "O", "O"], "frac_coords": [[0.218, 0.973, 0.235], [0.575, 0.218, 0.235], [0.797, 0.798, 0.608], [0.140, 0.399, 0.775], [0.399, 0.686, 0.775], [0.534, 0.534, 0.399], [0.015, 0.015, 0.954], [0.324, 0.324, 0.027], [0.973, 0.574, 0.235], [0.686, 0.140, 0.775]]}

{"formula": "Ti5In2Ni2Ru", "functional": "PBE", "state": "optimized geometry", "vol_a3_per_cell": 333, "final_energy_ev_per_cell": -137.4, "m_tot_mub_per_atom": 0.000, "cell": [[3.048, 0.000, 0.000], [0.000, 10.445, 0.000], [0.000, 0.000, 10.445]], "species": ["Ti", "In", "Ni", "Ru", "Ti", "In", "Ti", "Ni", "Ti", "Ni", "Ti", "In", "Ti", "In", "Ru", "Ni", "Ti", "Ti", "Ti", "Ti"], "frac_coords": [[0.500, 0.060, 0.804], [0.000, 0.323, 0.823], [0.000, 0.871, 0.371], [0.000, 0.500, 0.500], [0.500, 0.940, 0.196], [0.000, 0.823, 0.677], [0.500, 0.560, 0.696], [0.000, 0.129, 0.629], [0.500, 0.500, 0.000], [0.000, 0.371, 0.129], [0.500, 0.804, 0.940], [0.000, 0.177, 0.323], [0.500, 0.304, 0.560], [0.000, 0.677, 0.177], [0.000, 0.000, 0.000], [0.000, 0.629, 0.871], [0.500, 0.000, 0.500], [0.500, 0.440, 0.304], [0.500, 0.196, 0.060], [0.500, 0.696, 0.440]]}

{"formula": "Dy3YHoTm", "functional": "PBE", "state": "optimized geometry", "vol_a3_per_cell": 396, "final_energy_ev_per_cell": -56.1, "m_tot_mub_per_atom": 0.000, "cell": [[5.410, 0.099, 0.078], [-2.530, 10.650, 2.536], [0.067, -0.610, 6.696]], "species": ["Dy", "Dy", "Dy", "Ho", "Y", "Tm", "Dy", "Dy", "Dy", "Ho", "Tm", "Y"], "frac_coords": [[0.182, 0.340, 0.727], [0.497, 0.048, 0.729], [0.503, 0.952, 0.271], [0.681, 0.332, 0.474], [0.354, 0.738, 0.970], [0.911, 0.854, 0.657], [0.768, 0.549, 0.809], [0.232, 0.451, 0.191], [0.818, 0.660, 0.273], [0.319, 0.668, 0.526], [0.089, 0.146, 0.343], [0.646, 0.262, 0.030]]}

{"formula": "HfZrRe3", "functional": "PBE", "state": "optimized geometry", "vol_a3_per_cell": 107, "final_energy_ev_per_cell": -46.5, "m_tot_mub_per_atom": 0.000, "cell": [[-1.254, 3.487, -2.960], [-1.797, -3.198, -3.006], [-4.206, 0.327, 2.166]], "species": ["Re", "Hf", "Zr", "Re", "Re"], "frac_coords": [[0.000, 0.500, 0.000], [0.000, 0.000, 0.000], [0.500, 0.500, 0.500], [0.500, 0.000, 0.000], [0.000, 0.000, 0.500]]}

{"formula": "Tb2DyO", "functional": "PBE", "state": "optimized geometry", "vol_a3_per_cell": 94, "final_energy_ev_per_cell": -24.2, "formation_energy_uncorrected_ev_per_fu": -5.3, "m_tot_mub_per_atom": 0.000, "cell": [[3.538, 0.000, 0.000], [1.769, 3.064, 0.000], [1.769, 1.021, 8.715]], "species": ["O", "Dy", "Tb", "Tb"], "frac_coords": [[0.000, 0.000, 0.000], [0.500, 0.500, 0.500], [0.719, 0.719, 0.842], [0.281, 0.281, 0.158]]}
└──
Here the text continues
Doctoral students matriculated since the 2022/2023 academic year
TEEK is a mandatory application for all doctoral students who have been matriculated since the 2022/2023 academic year to compile and submit their progress review documents. TEEK became available for them on the 3rd of December 2024.
NB! User of TEEK does not have to fill in the .docx forms and upload them to SIS! The planning and reporting take place based on electronic forms in TEEK.
Doctoral students matriculated before the 2022/2023 academic year
If you were matriculated before the 2022/2023 academic year, please use the same .docx forms as before and upload them to SIS.
User guide for a doctoral student
User guide for a supervisor
-- Crystal structures, kept here for reference --
<<<
{
  "formula": "Ba2NaIn3Pt4",
  "functional": "PBE-GGA",
  "state": "optimized geometry",
  "lattice_angstrom": [[4.7494, 0.0000, 0.0000], [0.0000, 4.7494, 0.0000], [0.0000, 0.0000, 11.1931]],
  "species": ["Ba", "Ba", "Na", "In", "In", "In", "Pt", "Pt", "Pt", "Pt"],
  "fractional_positions": [[0.0000, 0.5000, 0.2403], [0.5000, 0.0000, 0.7597], [0.0000, 0.0000, 0.5000], [0.0000, 0.5000, 0.8829], [0.5000, 0.0000, 0.1171], [0.5000, 0.5000, 0.5000], [0.0000, 0.0000, 0.0000], [0.0000, 0.5000, 0.6412], [0.5000, 0.0000, 0.3588], [0.5000, 0.5000, 0.0000]],
  "e_form_ev_per_fu": -6.0,
  "total_magnetization_mub_per_fu": 0.000,
  "space_group": "P-4m2 (115)"
}
>>>
-- The crystal structures stop here --
User guide for a progress review administrator
User guide for a member of the progress review committee
If you have any questions or concerns, please contact or use the SIS helpdesk customer portal.
More information from the Intranet short news.
The individual plan is the doctoral student's research and study plan for the entire period of study. A period plan is a part of the individual plan, in which the specified plan of studies and research is agreed upon for the following progress review period. The individual plan is compiled in cooperation with the supervisor(s).
The individual plan for the whole period of doctoral studies is submitted together with the first progress review report of the first year.
The period plan of the first semester must be submitted within one month after matriculation. The doctoral student submits the following period plans together with each progress review report.
At the progress review the review committee assesses the doctoral student's progress in research and studies based on their programme and fulfilment of the individual plan.
First year doctoral students are reviewed twice: one semester after matriculation and two semesters after matriculation. From the second year onward, the progress of the doctoral student is reviewed once per academic year, two semesters after the last progress review.
[Someone pasted records of crystals at this point]
/*
Entry from the Alexandria database: a geometry-optimized Tb8CuPd2 structure (PBE).

a b c (Å): 5.9639 7.7499 7.7499
angles (deg): 114.40 100.26 100.26
Positions (direct):
Tb: 0.9859 0.7857 0.2137
Tb: 0.9859 0.2137 0.7857
Tb: 0.5849 0.0882 0.3430
Tb: 0.3690 0.9173 0.6613
Tb: 0.5849 0.3430 0.0882
Tb: 0.1694 0.3682 0.3682
Tb: 0.8051 0.6401 0.6401
Tb: 0.3690 0.6613 0.9173
Pd: 0.4904 0.6981 0.3132
Pd: 0.4904 0.3132 0.6981
*/
The doctoral students’ self-analysis form is a tool that helps you prepare your individual plan, annual period plans and progress review reports. You can also use the completed form to plan meetings with the supervisor. The self-analysis materials are not part of the mandatory progress review documents, but the progress review committee may ask questions about your self-analysis.
When completing a doctoral curriculum, it is necessary to monitor the completion of compulsory courses and earn the required credits for the modules and the curriculum.
Recognition of courses completed during studies outside of the university
Recognition of prior learning and professional experience towards completing the curriculum
A doctoral student submits the RPL application approved by the programme director to the progress review committee with other progress review documents. If the courses on the application were not completed at the University of Tartu, the documents certifying the completion of studies must be filed with the application. The courses will be entered based on the decision of the progress review committee.
RPL application forms
When completing a doctoral programme, it is necessary to monitor the acquisition of the learning outcomes and completion of the compulsory activities described in the programme. The doctoral students’ self-analysis form is a valuable tool that helps you assess your skills and development needs to make the choices.
Recognition of courses completed during studies outside of the university
Courses, continuing education courses and other learning events can only be transferred within the study module.
Note: TEEK does not allow uploading of digitally signed documents, and at the moment, it is not yet possible for the head of the specialisation to approve documents related to the recognition of studies in TEEK. Please email the head of the specialisation with the request to consent to recognise a learning event in the programme context and attach it to the report with other documents.
Note: The transferred courses are displayed in SIS under the doctoral student’s academic results, but for technical reasons, these entries are not shown as completion of the programme in the curriculum options view. This does not affect in any way the assessment of the doctoral student’s progress
Recognition of continuing education programmes, in-service training, professional and other learning events completed at the university during the studies
The studies must be added to the individual plan or period plan, and the completed training sessions and other learning events are transferred based on the progress review report (TEEK). When compiling the plan, it is advisable to previously consult the supervisor and also the head of the specialisation to determine whether the courses are suitable for completing the programme. Documents certifying the completion of studies are attached to the progress review report in TEEK. The studies are entered in SIS after the decision of the progress review committee.
Note: The transferred courses are displayed in SIS under the doctoral student’s academic results, but for technical reasons, these entries are not shown as completion of the programme in the curriculum options view. This does not affect in any way the assessment of the doctoral student’s progress.
Recognition of prior learning and professional experience towards completion of the programme
For the recognition of prior learning and professional experience completed and gained before matriculation, an RPL application must be submitted to the progress review committee with other progress review documents in TEEK. The application must be coordinated with the head of the specialisation of the programme and submitted for the first progress review, preferably with the doctoral student’s self-analysis form.
Note: When compiling the progress review report in TEEK, give the sub-activity a title “RPL application: [title of activity]” under the learning activity or research, development and creative activity and attach all the RPL-related documents to this activity. It is advisable to distinguish activities related to different learning outcomes.
Note: TEEK does not allow the uploading of digitally signed documents, and at the moment, it is not yet possible for the head of the specialisation to approve RPL-related documents in TEEK. Please email the head of the specialisation with the request to approve the RPL application and attach the approval to the report with other documents. Please include the academic affairs specialist of your specialisation in the cc line of the email sent to the head of the specialisation and inform them of the decision of the head of the specialisation.
Note: The courses transferred with RPL are displayed in SIS under the doctoral student’s academic results, but for technical reasons, these entries are not shown as completion of the programme in the curriculum options view. This does not affect in any way the assessment of the doctoral student’s progress.
Detailed rules and guidelines for applying for a doctoral degree are available in the web version of the Regulations for Doctoral Studies.